Securing water for ecosystems and human well-being: The importance of environmental flows
These records of crystals were left in the entry by mistake:
____________
A plane-wave DFT calculation with PBE+U was carried out for crystalline Mn7CrP12O48 at its relaxed geometry.

Calculated values
* crystal system: triclinic

Cell: 8.4625 8.4969 11.8066 Å, 89.97 89.94 89.91°
Last column: nearest neighbours and their distance in Å.
Sites, in units of the cell vectors:
1 O 0.5609 0.6603 0.4733  1 P 1.52
2 O 0.1424 0.0592 0.5796  1 P 1.53
3 O 0.1602 0.8526 0.4192  1 P 1.54
4 O 0.4015 0.0752 0.8394  1 P 1.55
5 O 0.8605 0.9396 0.4225  1 P 1.53
6 O 0.8585 0.4396 0.0774  1 P 1.53
7 O 0.9393 0.6578 0.5262  1 P 1.52
8 O 0.7779 0.6516 0.3248  1 P 1.53
9 O 0.6579 0.1429 0.4182  1 P 1.54
10 O 0.5995 0.9249 0.1601  1 P 1.55
11 O 0.1413 0.5605 0.9226  1 P 1.53
12 O 0.1592 0.3550 0.0823  1 P 1.55
13 O 0.0137 0.1798 0.7729  1 P 1.55
14 O 0.6439 0.9340 0.5743  1 P 1.53
15 O 0.9868 0.8197 0.2275  1 P 1.55
16 O 0.4087 0.5727 0.6580  1 P 1.55
17 O 0.2207 0.8491 0.8245  1 P 1.53
18 O 0.3579 0.0615 0.4231  1 P 1.53
19 O 0.4417 0.8404 0.9725  1 P 1.52
20 O 0.2789 0.8501 0.1757  1 P 1.53
21 O 0.8400 0.6449 0.9178  1 P 1.54
22 O 0.9398 0.1592 0.9735  1 P 1.52
23 O 0.6025 0.4246 0.3431  1 P 1.55
24 O 0.8979 0.4257 0.6602  1 P 1.55
25 O 0.0998 0.0749 0.1595  1 P 1.55
26 O 0.9861 0.3205 0.2728  1 P 1.54
27 O 0.0118 0.6835 0.7268  1 P 1.54
28 O 0.7211 0.1509 0.8246  1 P 1.54
29 O 0.5606 0.1575 0.0265  1 P 1.52
30 O 0.3410 0.3547 0.9188  1 P 1.55
31 O 0.3450 0.8557 0.5773  1 P 1.54
32 O 0.5083 0.8237 0.7698  1 P 1.55
33 O 0.4381 0.3425 0.5258  1 P 1.52
34 O 0.7214 0.6530 0.6722  1 P 1.53
35 O 0.2203 0.3531 0.6755  1 P 1.53
36 O 0.0998 0.5741 0.3412  1 P 1.55
37 O 0.8392 0.1435 0.5831  1 P 1.54
38 O 0.4850 0.6792 0.2739  1 P 1.55
39 O 0.6412 0.4400 0.9229  1 P 1.53
40 O 0.8995 0.9252 0.8417  1 P 1.55
41 O 0.2785 0.3495 0.3239  1 P 1.54
42 O 0.0599 0.3397 0.4733  1 P 1.52
43 O 0.3584 0.5610 0.0773  1 P 1.53
44 O 0.4865 0.1808 0.2269  1 P 1.55
45 O 0.5142 0.3209 0.7273  1 P 1.54
46 O 0.6593 0.6454 0.0826  1 P 1.54
47 O 0.7789 0.1498 0.1756  1 P 1.53
48 O 0.0608 0.8415 0.0269  1 P 1.52
49 P 0.1081 0.8936 0.1454  4 O 1.52-1.55
50 P 0.8927 0.6066 0.6452  4 O 1.52-1.55
51 P 0.2489 0.9649 0.4996  4 O 1.53-1.54
52 P 0.8918 0.1065 0.8552  4 O 1.52-1.55
53 P 0.3902 0.8948 0.8558  4 O 1.52-1.55
54 P 0.7497 0.5361 0.0004  4 O 1.53-1.54
55 P 0.7508 0.0354 0.4994  4 O 1.53-1.54
56 P 0.3918 0.3919 0.6451  4 O 1.52-1.55
57 P 0.2499 0.4645 0.0003  4 O 1.53-1.55
58 P 0.6083 0.1058 0.1454  4 O 1.52-1.55
59 P 0.6079 0.6058 0.3550  4 O 1.52-1.55
60 P 0.1078 0.3931 0.3549  4 O 1.52-1.55
61 Mn 0.9654 0.2495 0.1181  6 O 1.88-1.93
62 Mn 0.5349 0.2506 0.8828  6 O 1.88-1.94
63 Mn 0.0338 0.7506 0.8825  6 O 1.89-1.93
64 Mn 0.4652 0.7507 0.1186  6 O 1.90-1.94
65 Mn 0.0332 0.2497 0.6185  6 O 1.89-1.94
66 Mn 0.4656 0.2510 0.3813  6 O 1.89-1.93
67 Mn 0.9654 0.7488 0.3822  6 O 1.88-1.93
68 Cr 0.5324 0.7485 0.6192  6 O 1.88-1.91

***

A plane-wave DFT calculation with PBE+U was carried out for crystalline Mn3Cr2SbP6O24 at its relaxed geometry.

Calculated values
____________
The quantity, quality and timing of water flows required to sustain ecosystems and the valuable services they provide are referred to as Environmental Flows. To preserve and benefit from these services, water managers must ensure that an Environmental Flow regime is maintained in rivers and wetlands. This report highlights the connection between flows, ecosystem services and human well-being and concludes that environmental flows and the ecosystem services they support are critical to improve human well-being and achieving all eight of the United Nations Millennium Development Goals.

Healthy water ecosystems simultaneously serve multiple aspects of human well-being, especially among poor communities living close to the land-water interface. Ecosystem services have real economic value today and special importance in mitigating future problems and economic losses related to climate change. To preserve and benefit from these services, water managers must ensure that an environmental flow regime is maintained in rivers and wetlands. The report highlights the connection between flows, ecosystem services and human well-being and concludes that environmental flows and the ecosystem services they support are critical to achieving all eight of the United Nation’s Millennium Development Goals.
Lessons learned
- Recognising the values of ecosystems, and investing in them accordingly, are key to achieving the MDGs and alleviating poverty.
- Critical factors in establishing PES schemes include ensuring sufficient data to value services as well as the existence of legislation and implementing agencies to administer and track payments. In determining the value of services and translating them into payment mechanisms, it is critical to understand the relationship between upstream activities and downstream impacts.
- The limitations to energy and food production as well as navigation forecasted under climate change will necessarily entail reconsidering water allocations. Environmental
flows management, as part of a broader climate change adaptation strategy, can help mitigate some of the negative impacts climate change will have on freshwater resources. - Both governments and donors have under invested in improving water resource management.
Poor water resource management is also attributed to an unnecessarily large number of authorities involved in water resource management decisions. As a result, the overarching need for maintaining healthy freshwater ecosystems is overlooked, with the poor suffering even more due to their dependency on freshwater ecosystem goods such as drinking water and fish. The policy links between water management and poverty reduction require greater attention if the poverty reducing potential of reversing the loss of ecosystem services is to be realised. - Environmental flows can serve as an important link between environmental conservation and poverty alleviation in PRSPs as well as strategies to address the MDGs. Environmental flows offer an effective means for countries to to mainstream the environment -especially freshwater ecosystems – in national development planning processes.
For a fuller details of the recommendations, please download the document.
Forslund, A., et al. Securing Water for Ecosystems and Human Well-being: The Importance of Environmental Flows. Swedish Water House Report 24. SIWI, 2009.